Your job: echo only the lines underneath with the word "RIJCOSX" in them.

........
C35H100N8O12 | wB97M-V/def2-TZVPD

## Properties
- Lowest unoccupied orbital energy: 0.31 eV
- Relative energy (zero: lowest compared OMol25 entry of this formula, charge and spin): 0.00 kJ/mol
- Orbital gap: 8.820 eV
- DFT total energy: -2734.3139 hartree
- HOMO energy: -8.51 eV
- Structure (SMILES): COC[C@H](C)N.COC[C@H](C)N.COC[C@H](C)N.COC[C@H](C)N.COC[C@H](C)N.COC[C@H](C)N.NC(N)=O.CCO.CCO.CCO.CCO.CCO

```
! RIJCOSX wB97M-V def2-TZVPD def2/J DEFGRID3
* xyz 0 1
C -9.47454 -18.00533 6.30004
C -10.05363 -16.81479 7.01361
O -10.84143 -16.06838 6.07823
H -10.20422 -18.58894 5.73461
H -8.91151 -18.65998 6.97358
H -8.70261 -17.80544 5.54662
H -9.27881 -16.19050 7.46571
H -10.70963 -17.18428 7.80574
H -11.54891 -15.63889 6.57508
C -14.32792 -17.80463 6.67912
C -15.25082 -18.57937 5.74819
O -14.45035 -19.44576 4.92669
H -13.59768 -17.24773 6.10088
H -13.80303 -18.42960 7.39871
H -14.90442 -17.07426 7.25636
H -15.82317 -17.91615 5.09424
H -16.01210 -19.16643 6.27178
H -14.25634 -20.25991 5.45629
C -8.11186 -20.86594 5.21041
C -7.57371 -21.95541 6.10194
O -7.53708 -21.42135 7.42525
H -8.15186 -21.08907 4.14271
H -7.58375 -19.92971 5.37669
H -9.17084 -20.69576 5.42537
H -6.59058 -22.27653 5.74754
H -8.26317 -22.80208 6.13686
H -7.17891 -22.04285 8.06317
C -14.06886 -16.57064 10.24044
C -12.65010 -16.07078 10.38753
O -12.06433 -15.85821 9.08909
H -14.50794 -16.86801 11.19776
H -14.08618 -17.48475 9.64014
H -14.71930 -15.85461 9.73953
H -11.99775 -16.68893 10.99773
H -12.67916 -15.06491 10.82911
H -12.61206 -15.19939 8.63052
C -12.72217 -11.67485 7.10537
C -12.29966 -13.12908 7.21977
O -13.44513 -13.96731 7.49996
H -13.52216 -11.52254 6.37653
H -11.89384 -11.03244 6.79757
H -13.10830 -11.29124 8.05262
H -11.59348 -13.22042 8.04070
H -11.93112 -13.45459 6.24121
H -14.08144 -13.77354 6.78288
C -12.41959 -17.47774 2.28894
O -11.64913 -17.30279 1.34879
N -13.66636 -18.06095 2.27711
N -12.00380 -17.31743 3.59505
H -14.07845 -18.51034 3.08220
H -13.97642 -18.34949 1.36466
H -12.67908 -17.38027 4.32923
H -11.17565 -16.75316 3.68816
C -14.67044 -14.97657 2.78132
C -14.02232 -14.18299 3.92917
C -13.36730 -12.91544 3.41632
O -12.30907 -13.14061 2.53208
C -11.76670 -11.92274 2.04625
N -14.96591 -13.86292 4.99549
H -15.13919 -15.89561 3.11982
H -14.01294 -15.19036 1.93460
H -15.33214 -14.26873 2.26037
H -13.22268 -14.81305 4.34128
H -12.98867 -12.32420 4.26340
H -14.13569 -12.26868 2.96032
H -11.10714 -12.17518 1.21245
H -11.03088 -11.52321 2.75667
H -12.57496 -11.26084 1.74162
H -15.56538 -14.67959 5.09097
H -15.60319 -13.12421 4.70128
C -9.23964 -19.40102 -0.94522
C -8.24350 -20.31765 -0.23573
C -8.13640 -19.99274 1.25128
O -7.68465 -18.69111 1.42664
C -7.70869 -18.17965 2.72804
N -8.57404 -21.72730 -0.42448
H -9.33132 -18.41906 -0.49084
H -10.21971 -19.88364 -0.84014
H -9.02562 -19.31827 -2.01092
H -7.26547 -20.10434 -0.69542
H -7.41895 -20.73349 1.64574
H -9.12544 -20.18094 1.69123
H -6.75743 -18.45361 3.20864
H -8.55471 -18.47837 3.35806
H -7.73607 -17.08953 2.70915
H -7.73832 -22.27284 -0.25567
H -8.90936 -21.90684 -1.36023
C -12.87732 -21.21378 8.56796
C -12.39995 -21.59253 7.16303
C -11.69504 -22.94078 7.23907
O -12.63776 -23.93938 7.59971
C -12.08501 -25.22584 7.48376
N -13.60704 -21.69866 6.31104
H -13.58978 -21.95679 8.91994
H -13.21013 -20.18297 8.67279
H -12.01234 -21.26375 9.23862
H -11.75548 -20.84235 6.70437
H -10.97694 -22.92881 8.06839
H -11.20060 -23.18764 6.29274
H -11.78678 -25.45525 6.45863
H -12.75385 -25.96872 7.91400
H -11.20052 -25.30351 8.13795
H -13.43960 -22.31121 5.51408
H -14.29135 -22.21879 6.85509
C -9.48922 -18.62613 10.52971
C -8.22408 -19.03576 11.29245
C -7.11258 -17.99973 11.19324
O -5.83801 -18.54501 11.46025
C -5.35692 -19.32214 10.39104
N -8.58681 -19.26589 12.71286
H -9.89326 -17.69346 10.92761
H -10.25982 -19.39254 10.53886
H -9.18338 -18.41044 9.49841
H -7.88932 -19.97912 10.84579
H -7.29791 -17.15212 11.85801
H -7.20091 -17.52968 10.20285
H -5.69278 -18.98195 9.40564
H -5.63372 -20.38615 10.40881
........

! RIJCOSX wB97M-V def2-TZVPD def2/J DEFGRID3